The reader should duplicate the entries below without altering anything.

........
## w
Density functional theory data (the ωB97M-V functional and the def2-TZVPD basis) for the molecule C13H21NO4.

Geometry as ORCA input:
```
! wB97M-V def2-TZVPD RIJCOSX def2/J DEFGRID3
* xyz 0 1
C -5.22 -0.87 1.51
C -3.96 -0.08 1.18
C -4.03 0.53 -0.22
C -2.89 1.50 -0.53
C -1.49 0.91 -0.37
C -1.24 -0.28 -1.30
N 0.08 -0.83 -1.12
C 1.25 -0.24 -1.74
C 2.44 -0.91 -1.07
C 3.13 0.01 -0.06
O 2.62 0.99 0.40
O 4.33 -0.46 0.24
C 5.08 0.24 1.24
C 5.81 1.44 0.65
C 1.84 -2.05 -0.25
O 2.44 -2.92 0.32
C 0.33 -1.84 -0.26
O -0.49 -2.46 0.37
H -5.36 -1.68 0.79
H -6.10 -0.23 1.47
H -5.15 -1.31 2.50
H -3.10 -0.74 1.25
H -3.83 0.72 1.91
H -4.05 -0.27 -0.96
H -4.97 1.08 -0.32
H -3.01 1.87 -1.55
H -2.96 2.36 0.14
H -0.75 1.69 -0.58
H -1.33 0.58 0.66
H -1.94 -1.08 -1.08
H -1.35 0.02 -2.35
H 1.26 0.84 -1.56
H 1.23 -0.42 -2.82
H 3.20 -1.30 -1.75
H 5.78 -0.50 1.64
H 4.39 0.56 2.03
H 6.42 1.90 1.43
H 5.10 2.16 0.28
H 6.46 1.12 -0.16
*
```

As for the HOMO energy: -9.5 eV. Its structure (SMILES) is CCCCCCN1C[C@@H](C(=O)OCC)C(=O)C1=O. Its orbital gap is 9.6063 eV.

natural (NBO) population analysis, charges in e, atoms 1 to 6: -0.597, -0.403, -0.395, -0.389, -0.406, -0.225

---

## x
Density functional theory data (the ωB97M-V functional and the def2-TZVPD basis) for a structure of composition C13H21NO4.

Geometry as ORCA input:
```
! wB97M-V def2-TZVPD RIJCOSX def2/J DEFGRID3
* xyz 0 1
C -2.87 1.49 0.59
H -2.44 1.23 -0.53
O -2.19 2.60 1.03
C -0.95 2.80 1.23
C -0.12 1.88 0.80
C 1.22 2.03 1.27
C 1.59 3.23 1.87
C 0.97 4.26 1.96
C -0.39 4.11 1.77
H -1.21 4.80 1.97
H 1.41 5.12 2.57
H 2.98 3.41 1.94
O 2.18 1.12 0.80
C 1.96 -0.27 0.53
C 1.40 -1.07 1.48
O 0.28 -2.03 1.27
C 0.66 -3.22 0.43
C 0.86 -2.99 -0.98
N -0.20 -2.59 -1.58
H -0.71 -1.91 -0.68
C -0.18 -1.68 -2.82
C -1.60 -1.23 -2.97
O -2.14 -0.50 -2.10
H -2.54 -1.06 -1.30
H -1.97 -2.04 -3.55
H -1.48 -0.68 -4.10
H 0.00 -2.39 -3.63
H 0.63 -0.97 -2.67
H 1.07 -3.93 -1.41
H 1.71 -2.37 -1.24
H 0.18 -3.99 0.68
H 1.83 -3.46 0.80
H 0.86 -0.55 2.34
H 2.08 -1.59 2.02
H 2.77 -0.58 0.04
H 1.32 -0.22 -0.23
H -0.32 0.91 0.48
H -4.02 1.64 0.69
H -2.61 0.70 1.24
*
```

As for the HOMO energy: -7.8 eV. Its orbital gap is 8.3047 eV.

natural (NBO) population analysis, charges in e, atoms 1 to 6: -0.258, 0.198, -0.496, 0.354, -0.398, 0.335

---

Name the most stable of them. w.

---

## w
Density functional theory data (the ωB97M-V functional and the def2-TZVPD basis) for the molecule C9H19NO3.

Geometry as ORCA input:
```
! wB97M-V def2-TZVPD RIJCOSX def2/J DEFGRID3
* xyz 0 1
C -3.02 -0.36 0.93
C -2.50 -1.09 -0.25
C -1.51 -0.21 -1.07
N -0.21 -0.29 -0.44
C 0.69 -1.39 -0.96
C 1.79 -1.68 0.03
C 2.24 -0.38 0.89
O 1.48 -0.38 2.02
C 2.04 0.83 0.08
O 2.93 0.95 -1.10
C 0.58 0.98 -0.48
C 0.00 2.07 0.36
O -1.32 2.49 -0.11
H -3.73 0.56 0.61
H -2.15 0.00 1.52
H -3.68 -1.06 1.51
H -1.77 -2.00 0.04
H -3.35 -1.67 -0.96
H -1.86 0.76 -1.25
H -1.32 -0.65 -2.15
H 0.08 -2.33 -0.95
H 0.98 -1.20 -2.04
H 1.62 -2.58 0.70
H 2.76 -1.94 -0.48
H 3.25 -0.53 1.21
H 0.52 -0.34 1.65
H 2.31 1.70 0.74
H 3.80 0.74 -0.82
H 0.67 1.33 -1.58
H 0.54 3.01 0.34
H -0.05 1.70 1.35
H -1.78 2.98 0.66
*
```

As for the HOMO energy: -8.8 eV. Its structure (SMILES) is CCCN1CC[C@H](O)[C@@H](O)[C@@H]1CO. Its orbital gap is 9.5785 eV.

natural (NBO) population analysis, charges in e, atoms 1 to 6: -0.624, -0.393, -0.232, -0.487, -0.245, -0.446

---

## x
Density functional theory data (the ωB97M-V functional and the def2-TZVPD basis) for a cluster of 2 separate species, C9H19NO3 in total.

Geometry as ORCA input:
```
! wB97M-V def2-TZVPD RIJCOSX def2/J DEFGRID3
* xyz 0 1
C -2.81 -0.81 0.91
C -2.37 -1.57 -0.37
C -1.50 -0.57 -1.20
C 0.70 -1.43 -1.08
C 1.55 -1.69 0.16
C 1.72 -0.55 1.02
C 1.75 0.75 0.23
C 0.32 1.05 -0.59
C -0.30 2.06 0.38
H -2.90 0.26 1.06
H -2.07 -0.73 1.55
H -3.55 -1.48 1.24
H -2.14 -2.59 -0.08
H -2.99 -1.76 -1.23
H -2.16 0.40 -1.14
H -1.02 -0.79 -2.08
H 0.24 -2.33 -1.18
H 1.45 -1.30 -2.01
H 0.76 -2.33 0.69
H 2.56 -2.07 -0.09
H 2.62 -0.71 1.60
H -0.17 -0.36 1.24
........

## w
Density functional theory data (the ωB97M-V functional and the def2-TZVPD basis) for the molecule C13H21NO4.

Geometry as ORCA input:
```
! wB97M-V def2-TZVPD RIJCOSX def2/J DEFGRID3
* xyz 0 1
C -5.22 -0.87 1.51
C -3.96 -0.08 1.18
C -4.03 0.53 -0.22
C -2.89 1.50 -0.53
C -1.49 0.91 -0.37
C -1.24 -0.28 -1.30
N 0.08 -0.83 -1.12
C 1.25 -0.24 -1.74
C 2.44 -0.91 -1.07
C 3.13 0.01 -0.06
O 2.62 0.99 0.40
O 4.33 -0.46 0.24
C 5.08 0.24 1.24
C 5.81 1.44 0.65
C 1.84 -2.05 -0.25
O 2.44 -2.92 0.32
C 0.33 -1.84 -0.26
O -0.49 -2.46 0.37
H -5.36 -1.68 0.79
H -6.10 -0.23 1.47
H -5.15 -1.31 2.50
H -3.10 -0.74 1.25
H -3.83 0.72 1.91
H -4.05 -0.27 -0.96
H -4.97 1.08 -0.32
H -3.01 1.87 -1.55
H -2.96 2.36 0.14
H -0.75 1.69 -0.58
H -1.33 0.58 0.66
H -1.94 -1.08 -1.08
H -1.35 0.02 -2.35
H 1.26 0.84 -1.56
H 1.23 -0.42 -2.82
H 3.20 -1.30 -1.75
H 5.78 -0.50 1.64
H 4.39 0.56 2.03
H 6.42 1.90 1.43
H 5.10 2.16 0.28
H 6.46 1.12 -0.16
*
```

As for the HOMO energy: -9.5 eV. Its structure (SMILES) is CCCCCCN1C[C@@H](C(=O)OCC)C(=O)C1=O. Its orbital gap is 9.6063 eV.

natural (NBO) population analysis, charges in e, atoms 1 to 6: -0.597, -0.403, -0.395, -0.389, -0.406, -0.225

---

## x
Density functional theory data (the ωB97M-V functional and the def2-TZVPD basis) for a structure of composition C13H21NO4.

Geometry as ORCA input:
```
! wB97M-V def2-TZVPD RIJCOSX def2/J DEFGRID3
* xyz 0 1
C -2.87 1.49 0.59
H -2.44 1.23 -0.53
O -2.19 2.60 1.03
C -0.95 2.80 1.23
C -0.12 1.88 0.80
C 1.22 2.03 1.27
C 1.59 3.23 1.87
C 0.97 4.26 1.96
C -0.39 4.11 1.77
H -1.21 4.80 1.97
H 1.41 5.12 2.57
H 2.98 3.41 1.94
O 2.18 1.12 0.80
C 1.96 -0.27 0.53
C 1.40 -1.07 1.48
O 0.28 -2.03 1.27
C 0.66 -3.22 0.43
C 0.86 -2.99 -0.98
N -0.20 -2.59 -1.58
H -0.71 -1.91 -0.68
C -0.18 -1.68 -2.82
C -1.60 -1.23 -2.97
O -2.14 -0.50 -2.10
H -2.54 -1.06 -1.30
H -1.97 -2.04 -3.55
H -1.48 -0.68 -4.10
H 0.00 -2.39 -3.63
H 0.63 -0.97 -2.67
H 1.07 -3.93 -1.41
H 1.71 -2.37 -1.24
H 0.18 -3.99 0.68
H 1.83 -3.46 0.80
H 0.86 -0.55 2.34
H 2.08 -1.59 2.02
H 2.77 -0.58 0.04
H 1.32 -0.22 -0.23
H -0.32 0.91 0.48
H -4.02 1.64 0.69
H -2.61 0.70 1.24
*
```

As for the HOMO energy: -7.8 eV. Its orbital gap is 8.3047 eV.

natural (NBO) population analysis, charges in e, atoms 1 to 6: -0.258, 0.198, -0.496, 0.354, -0.398, 0.335

---

Name the most stable of them. w.

---

## w
Density functional theory data (the ωB97M-V functional and the def2-TZVPD basis) for the molecule C9H19NO3.

Geometry as ORCA input:
```
! wB97M-V def2-TZVPD RIJCOSX def2/J DEFGRID3
* xyz 0 1
C -3.02 -0.36 0.93
C -2.50 -1.09 -0.25
C -1.51 -0.21 -1.07
N -0.21 -0.29 -0.44
C 0.69 -1.39 -0.96
C 1.79 -1.68 0.03
C 2.24 -0.38 0.89
O 1.48 -0.38 2.02
C 2.04 0.83 0.08
O 2.93 0.95 -1.10
C 0.58 0.98 -0.48
C 0.00 2.07 0.36
O -1.32 2.49 -0.11
H -3.73 0.56 0.61
H -2.15 0.00 1.52
H -3.68 -1.06 1.51
H -1.77 -2.00 0.04
H -3.35 -1.67 -0.96
H -1.86 0.76 -1.25
H -1.32 -0.65 -2.15
H 0.08 -2.33 -0.95
H 0.98 -1.20 -2.04
H 1.62 -2.58 0.70
H 2.76 -1.94 -0.48
H 3.25 -0.53 1.21
H 0.52 -0.34 1.65
H 2.31 1.70 0.74
H 3.80 0.74 -0.82
H 0.67 1.33 -1.58
H 0.54 3.01 0.34
H -0.05 1.70 1.35
H -1.78 2.98 0.66
*
```

As for the HOMO energy: -8.8 eV. Its structure (SMILES) is CCCN1CC[C@H](O)[C@@H](O)[C@@H]1CO. Its orbital gap is 9.5785 eV.

natural (NBO) population analysis, charges in e, atoms 1 to 6: -0.624, -0.393, -0.232, -0.487, -0.245, -0.446

---

## x
Density functional theory data (the ωB97M-V functional and the def2-TZVPD basis) for a cluster of 2 separate species, C9H19NO3 in total.

Geometry as ORCA input:
```
! wB97M-V def2-TZVPD RIJCOSX def2/J DEFGRID3
* xyz 0 1
C -2.81 -0.81 0.91
C -2.37 -1.57 -0.37
C -1.50 -0.57 -1.20
C 0.70 -1.43 -1.08
C 1.55 -1.69 0.16
C 1.72 -0.55 1.02
C 1.75 0.75 0.23
C 0.32 1.05 -0.59
C -0.30 2.06 0.38
H -2.90 0.26 1.06
H -2.07 -0.73 1.55
H -3.55 -1.48 1.24
H -2.14 -2.59 -0.08
H -2.99 -1.76 -1.23
H -2.16 0.40 -1.14
H -1.02 -0.79 -2.08
H 0.24 -2.33 -1.18
H 1.45 -1.30 -2.01
H 0.76 -2.33 0.69
H 2.56 -2.07 -0.09
H 2.62 -0.71 1.60
H -0.17 -0.36 1.24